Brief
Your job: duplicate the calculation results further down exactly.
Input
+++
2 unconnected molecules or ions with the total composition C6H17N2 in a non-equilibrium geometry. Source: the Open Molecules 2025 dataset; level of theory: ωB97M-V with the def2-TZVPD basis set.

Positions of all 25 atoms, in Å:
C -2.72603 -1.74355 -0.79992
C -2.08032 -1.29328 0.51762
C 0.20169 -2.09748 0.66850
N -0.59761 -1.15940 0.35692
H -2.49238 -1.06152 -1.60224
H -2.34652 -2.70723 -1.13258
H -3.79310 -1.68658 -0.66945
H -2.37431 -0.26501 0.77874
H -2.26135 -1.93803 1.38452
H 1.24916 -1.99061 0.42677
H -0.26222 -2.88292 1.25452
H -0.27383 -0.30595 -0.04884
C 1.17051 1.70266 -0.90653
C 1.50103 1.39092 0.55963
C 0.54280 1.94596 1.58716
N 2.15782 1.07994 -1.84385
H 1.20222 2.85811 -1.06753
H 0.10185 1.40416 -1.19030
H 2.45298 1.75169 0.79640
H 1.60133 0.27422 0.76785
H -0.50849 1.50342 1.36407
H 0.45787 3.07062 1.57362
H 0.82558 1.68446 2.63056
H 1.92740 1.34107 -2.80138
H 1.91420 0.07500 -1.81498

Computed properties:
LUMO energy ... -5.083 eV
HOMO energy ... -12.939 eV
Net charge ... +1
Calculated total energy ... -348.01830 Ha


A single C2H3NO molecule in a non-equilibrium geometry. Source: the Open Molecules 2025 dataset; level of theory: ωB97M-V with the def2-TZVPD basis set.

Positions of all 7 atoms, in Å:
C -0.83280 -0.03582 0.02119
O 0.22377 0.85421 0.08953
C 1.61214 0.04470 -0.00657
N 2.55359 -0.58057 0.01530
H -0.93721 -0.84709 0.69125
H -1.01962 -0.13772 -1.08055
H -1.59987 0.70230 0.26985

Computed properties:
LUMO energy ... 0.188 eV
HOMO energy ... -11.498 eV
Net charge ... 0
Calculated total energy ... -207.88755 Ha


3 unconnected molecules or ions with the total composition C5H10NO2 in a non-equilibrium geometry. Source: the Open Molecules 2025 dataset; level of theory: ωB97M-V with the def2-TZVPD basis set.

Positions of all 18 atoms, in Å:
C 0.30849 -0.12540 0.67360
C 1.59844 0.60619 0.89058
C 2.71942 0.21874 0.24290
C 2.88645 -0.98304 -0.48932
N -3.61127 0.07419 -1.11731
C -3.48137 0.32054 0.29855
O -2.53614 -0.26889 0.86578
O -4.30669 1.13282 0.76382
H -0.24506 -0.21952 1.60269
H -0.34095 0.35026 -0.06554
H 0.49435 -1.14443 0.33512
H 1.66910 1.51135 1.47668
H 2.07133 0.04510 -1.53392
H 3.58655 0.85618 0.37426
H -4.11047 0.82906 -1.55909
H 3.89172 -1.21056 -0.81716
H 2.15798 -1.76935 -0.39177
H -2.75189 -0.22326 -1.54988

Computed properties:
LUMO energy ... 2.868 eV
HOMO energy ... -3.942 eV
Net charge ... -1
Calculated total energy ... -401.68929 Ha
+++
Solution
2 unconnected molecules or ions with the total composition C6H17N2 in a non-equilibrium geometry. Source: the Open Molecules 2025 dataset; level of theory: ωB97M-V with the def2-TZVPD basis set.

Positions of all 25 atoms, in Å:
C -2.72603 -1.74355 -0.79992
C -2.08032 -1.29328 0.51762
C 0.20169 -2.09748 0.66850
N -0.59761 -1.15940 0.35692
H -2.49238 -1.06152 -1.60224
H -2.34652 -2.70723 -1.13258
H -3.79310 -1.68658 -0.66945
H -2.37431 -0.26501 0.77874
H -2.26135 -1.93803 1.38452
H 1.24916 -1.99061 0.42677
H -0.26222 -2.88292 1.25452
H -0.27383 -0.30595 -0.04884
C 1.17051 1.70266 -0.90653
C 1.50103 1.39092 0.55963
C 0.54280 1.94596 1.58716
N 2.15782 1.07994 -1.84385
H 1.20222 2.85811 -1.06753
H 0.10185 1.40416 -1.19030
H 2.45298 1.75169 0.79640
H 1.60133 0.27422 0.76785
H -0.50849 1.50342 1.36407
H 0.45787 3.07062 1.57362
H 0.82558 1.68446 2.63056
H 1.92740 1.34107 -2.80138
H 1.91420 0.07500 -1.81498

Computed properties:
LUMO energy ... -5.083 eV
HOMO energy ... -12.939 eV
Net charge ... +1
Calculated total energy ... -348.01830 Ha


A single C2H3NO molecule in a non-equilibrium geometry. Source: the Open Molecules 2025 dataset; level of theory: ωB97M-V with the def2-TZVPD basis set.

Positions of all 7 atoms, in Å:
C -0.83280 -0.03582 0.02119
O 0.22377 0.85421 0.08953
C 1.61214 0.04470 -0.00657
N 2.55359 -0.58057 0.01530
H -0.93721 -0.84709 0.69125
H -1.01962 -0.13772 -1.08055
H -1.59987 0.70230 0.26985

Computed properties:
LUMO energy ... 0.188 eV
HOMO energy ... -11.498 eV
Net charge ... 0
Calculated total energy ... -207.88755 Ha


3 unconnected molecules or ions with the total composition C5H10NO2 in a non-equilibrium geometry. Source: the Open Molecules 2025 dataset; level of theory: ωB97M-V with the def2-TZVPD basis set.

Positions of all 18 atoms, in Å:
C 0.30849 -0.12540 0.67360
C 1.59844 0.60619 0.89058
C 2.71942 0.21874 0.24290
C 2.88645 -0.98304 -0.48932
N -3.61127 0.07419 -1.11731
C -3.48137 0.32054 0.29855
O -2.53614 -0.26889 0.86578
O -4.30669 1.13282 0.76382
H -0.24506 -0.21952 1.60269
H -0.34095 0.35026 -0.06554
H 0.49435 -1.14443 0.33512
H 1.66910 1.51135 1.47668
H 2.07133 0.04510 -1.53392
H 3.58655 0.85618 0.37426
H -4.11047 0.82906 -1.55909
H 3.89172 -1.21056 -0.81716
H 2.15798 -1.76935 -0.39177
H -2.75189 -0.22326 -1.54988

Computed properties:
LUMO energy ... 2.868 eV
HOMO energy ... -3.942 eV
Net charge ... -1
Calculated total energy ... -401.68929 Ha